Saturday, October 15, 2016

Fake Chinese IQ studies

  Richard Lynn and Tatu Vanhanen, in their famous book cited the results of several studies on IQ of East Asians. As the conclusion made by the scientists had very high implications, a thorough cross check was required. Here I present all the manipulated IQ data on China.

A table was presented by Lynn showing 31 IQ studies on China's population. A claim was made that "there are no samples on Chinese population citing IQ to be less than 95". Here I will present contrary data set on China where average IQ results are less than 90 which as per Lynn's claim do not exist. First lets look at IQ of China which is presented:-

Obviously when the data came into the scientific community, almost everyome was shocked not because of high results, but because of consistency of data. Average IQ in 31 different regions of China was within 10 points.
As it is noticed in IQ testing, average IQ in cities is 15 points higher than rural areas. On top of that, average IQ heavily depends on the people tested. If you were to test factory workers, the average will be 90. University students will show average of 110. So, the scientific community always doubted his work on China.

How did he test Chinese population for IQ ?

A website was created and people were asked to take IQ tests. Unlike African samples where people were downward selected, Chinese IQ was upward sampling of population.

Why do internet users in China have higher IQ than others ? Let's ask a question. What is the internet penetration in China ? It's 45 pc in 2013 and much lower before that. Most probably, the rich ones have access to internet and poor ones do not have. That already selects a population for intelligence. Isn't it.

On top of that, as can be seen in IQ data presented; most samples are in urban areas. Shanghai, Beijing, Tianjin and Chongquin which are clearly the top 7 cities alone make up 5710, 6635, 1312, 1070 out of the total people tested. That's 14,000 out of 65,000 people tested, just from the top 7 cities.

Lastly, how easy it is to cheat on internet IQ testing. It's quite easy. The results should not have been published as there is no control over test takers over the internet. There are many websites where even people in Latin America have reported 118 average IQs on many people.

It doesn't really make sense to compare this IQ data on China with Thailand where most samples cited are in rural areas. Better will be to compare the data with Bangkok which shows IQ of 103.

Anyways, here are the low scoring IQ samples on China's population :-

Wang, 2001 (Average IQ of 76-81)
Average IQ: 81 and 76

Hong, 2001 (Average IQ of 65-82)
Average IQ fluctuates between 65 and 82 for china, depending on amount of fluoride in water. Shandong province, china.

Li, 1995 (Average IQ of 79-89)
Average iq is in between 79 and 89 for china. Guizhou province, china.

Yang, 1994 (Average IQ of 76,81)
Average IQ for china is 76 and 81. Jinan, China.

An, 1992 (Average IQ of 76,84)
Average IQ for china is 76 and 84. Guyang county, inner Mongolia.

Guo, 1991 (Average IQ of 76,81)
Average IQ for china is 76 and 81. Hunan province, china.

Lower results are in mild fluoride regions and higher results are in very optimum conditions.

The question arises, why did Lynn ignore these samples on China's population. Well, if you go out with a propaganda of proving one nation smarter than another, such result manipulation is a must.

On top, these are the samples that are done in very optimum conditions like low fluoride, etc. and in top notch states of China.

Imagine if I cite these article which are pretty much done on rural population of China and compare it with cities in Europe, I will be able to prove that Europeans have average IQ of 105 and East Asians to be 83. Isn't it. Its just a matter of what you want to show to the world.

Here are the IQ results in European cities:-

Amsterdam: 109.4, Hamburg: 109.3, Warsaw: 108.

Even in South East Asia, India and Iran; you get IQ data to be 103+ in cities. Urban rural gap is only due to cognitive clustering in urban areas.

IQ in Bangkok: 103, Iran(urban): 105, Lucknow: 110, Ahmedabad: 104. There are several reports covering the same which I will discuss later. If the Chinese IQ data is to be compared, comparison has to be done in urban samples on rest of the world.

Now, it has been proven that IQ dataset of China has also been obtained by selective citation just like any other nation. A question arises as to why East Asians do better on PISA which is an unbiased sample covering entire population randomly and unbiased ?

I will talk about the Chinese. I will talk about Korea, Taiwan and Japan later on. Results of Shanghai and other urban areas were published. Chinese government did not allow PISA to publish the results of other provinces. A statement was made by PISA that "we have done PISA sampling in 12 provinces in China and in some of the poorest regions, you get performance close to the OECD average."

Its a very generalized statement which doesn't really mean anything. "Close to the OECD average". It can be 50 points less or 20 points. Unless, PISA results on China which are held back are released nothing can be said about average IQ of China.

However, results of Chinese in South East Asia are well known and they do not show high IQs.

Let me attach PISA scores for you. Source:
On maths PISA:- Singapore scored 573, Malaysia scored 421, Thailand scored 427.
On reading:- Singapore scored 542, Malaysia scored 398, Thailand scored 441.
On science:- Singapore scored 551, Malaysia scored 420, Thailand scored 445.
Mean scores:- Singapore: 555, Malaysia: 413, Thailand: 437. (All in the report).
There are 3 million Chinese in Singapore which is a magnet for cognitive elites of China, 8 million Chinese in Malaysia, 10 million in Thailand.

A common argument given is that Malays and other races pull down the scores in Malaysia. It is well known that "other races do not pull down scores" in SEA and even if they do, the gaps are negligible. It is well evident in Singapore school results which I will discuss later to compare East and South Asian IQs.

For verifying whether there is multi modal distribution in PISA scores in Malaysia, I had to calculate the percentile of scores.

There is a table mentioned in PISA report which is attached above. Or detailed results can be seen here ( Page number 308 and 309:-
In Singapore:- 10 percentile score was 432, 25 percentile: 501, 75 percentile: 650, 90 percentile was 707.
In Malaysia:- 10 percentile: 319, 25 percentile: 363, 75 percentile: 474, 90 percentile: 530.
In Thailand:- 10 percentile: 328, 25 percentile: 372, 75 percentile: 476, 90 percentile: 535.

Even top 25 percent of Malaysia has an average PISA score corresponding to 98 IQ that is 87 percentile of Malaysian PISA data (520 is 100 IQ and 100 points is 1 standard deviation as discussed before). If I assume that all these are Chinese (that is each and every person of Chinese decent scored better than other races), how does it lead to high IQ and PISA scores among East Asians. This is the best case estimate.
For decent estimate, average IQ of Chinese in Malaysia: 95 IQ, Thailand: 97 IQ (according to PISA reports).
Performance in PISA level 5 and level 6:-
Page 31:-
Singapore: 29% students above level 5 and 6.
Malaysia: 0.9% students above level 5 and 6.
In Malaysia (a nation with moderate education system), “at the absolute maximum” 2.5% Chinese students scored in level 5 and level 6. V/S large majority of Chinese students in Singapore (“minimum 6.5% and maximum 38%”).
You can clearly see East Asian PISA score to be same as Czech Republic level once we include Malaysia, Thailand and Singapore; instead of just concentrating on Singapore which is a magnet for China's cognitive elites.

Chinese IQ in SEA (based on PISA) is 98 (best estimate) and 96 (decent estimate).
And PISA is the most reliable large scale study on IQ.

As IQ of China is unknown and there are contrary studies (some showing very high IQs, some very low IQs) and as large scale studies like PISA on China are unavailable to public; it is resonable to assume that China's IQ will be same as Chinese living in SEA as per PISA reports. Chinese in SEA are net importers of high skill immigration from China unlike China which is a net exporter of high skill immigrants. So, at any cost Chinese IQ cannot be more than Chinese in SEA.

Now what about the people especially the bloggers who post IQ of 115 for China. To be frank, most of them are misinformed. IQ of 115 on China is based on an assumption that presently IQ of China is 105 and China will score 115 due to optimum living conditions and first world environment. That's not the case.

Present IQ data available on China shows 95 IQ or 97.5 IQ as per Lynn's work (which is based on his own calculations). 105 is the long term ceiling of IQ in China.

112 is the PISA IQ for Shanghai which is the highest IQ recorded in China where people are living in absolute optimum conditions. As cities generally score 15 points higher, average in China cannot be more than 105. Even the estimate of 105 comes at the cost of assuming optimum living conditions (excluding iodine deficiency, etc., etc.). Present IQ of China as per the data available is 95 as people are not living in optimum conditions. Many of the states have iodine deficiencies, many have underweight children.

But again if I start optimizing IQs for the rest of the world, most nations would score very high. To be frank, Africa and South Asia are the biggest victims of malnourishment and iodine deficiencies.

While comparing IQ of two nations, you cannot compare an optimised number for one with an unoptimised number for another nation. Isn't it.

So, Lynn's IQ comparisons between Europe and China by taking an optimised number for China (105) and an unoptimised number for Europe (97) is unacceptable and not in lines with the scientific methods of research.

If the data cited on other nations is un-optimised for iodine deficiencies etc.  etc.; why is he comparing it with an optimized estimate for China ? Of-course if you want to propagate a racial fallacy in the public, such stuffs are required. Even nations in Europe face iodine deficiencies at par or higher than people in China and European IQ can also be adjusted to 104, or I can calculate European IQ by taking highest scoring city in Europe, Amsterdam and subtracting 7 IQ like how he is doing for China which will put Europeans at 103. Isn't it.

Calculated molecules, as found in the file:
'''
(1)
Density functional theory data (ωB97M-V/def2-TZVPD) for C4H9NO as an isolated structure.

Calculated values
orbital gap: 9.80 eV
relative energy (zero: lowest compared OMol25 entry of this formula, charge and spin): 116.08 kcal/mol
HOMO energy: -9.13 eV
total energy: -7827.2864 eV
LUMO energy: 0.67 eV

CARTESIAN COORDINATES (ANGSTROEM)
1 C -2.38 -0.52 0.30
2 C -1.10 -0.15 -0.42
3 O -0.41 0.82 0.39
4 C 0.93 0.89 0.24
5 N 1.59 0.41 -0.85
6 C 2.60 -0.19 -0.17
7 H -2.16 -0.99 1.27
8 H -3.00 0.36 0.48
9 H -2.96 -1.23 -0.30
10 H -0.45 -1.01 -0.59
11 H -1.31 0.30 -1.40
12 H 1.28 1.84 0.63
13 H 2.42 -1.11 0.37
14 H 1.95 0.34 1.10
15 H 3.62 -0.14 -0.58

Charges in e, computed with Löwdin, in the same order as the atoms: number 1, C, carries -0.076; number 2, C, carries -0.253; number 3, O, carries -0.066; number 4, C, carries -0.378; number 5, N, carries -0.024; number 6, C, carries -0.126; number 7, H, carries 0.078; number 8, H, carries 0.078; number 9, H, carries 0.078; number 10, H, carries 0.116; number 11, H, carries 0.122; number 12, H, carries 0.140; number 13, H, carries 0.067; number 14, H, carries 0.171; number 15, H, carries 0.074

***

(2)
Density functional theory data (ωB97M-V/def2-TZVPD) for C21H28IN3RuSi as an isolated structure at a distorted geometry.

Calculated values
orbital gap (spin up / spin down): 6.00 / 4.50 eV
HOMO energy (spin up / spin down): -13.48 / -14.75 eV
total energy: -45244.8268 eV
charge: +2
multiplicity: 5
LUMO energy (spin up / spin down): -7.48 / -10.25 eV

CARTESIAN COORDINATES (ANGSTROEM)
1 C -1.62 3.09 2.22
2 C -0.26 3.62 1.88
3 H -2.48 3.78 2.13
4 H -1.57 2.49 3.16
5 H -1.77 2.24 1.47
6 H 0.11 2.96 1.08
7 H -0.33 4.63 1.44
8 H 0.55 3.47 2.64
9 C -2.95 -0.59 -1.10
10 C -3.88 -1.17 -1.94
11 C -3.54 -1.37 -3.27
12 C -2.30 -0.94 -3.77
13 H -3.06 -0.31 -0.05
14 H -4.85 -1.45 -1.52
15 H -4.24 -1.81 -3.95
16 H -1.98 -0.98 -4.80
17 N -1.72 -0.31 -1.59
18 C -1.37 -0.40 -2.90
19 C -0.04 0.12 -3.22
20 N 0.65 0.63 -2.17
21 C 1.85 1.24 -2.24
22 C 1.88 0.68 -4.55
23 C 2.54 1.21 -3.44
24 H 2.14 1.70 -1.29
25 H 3.54 1.62 -3.47
26 C 0.59 0.18 -4.46
27 H -0.03 -0.17 -5.29
28 H 2.37 0.68 -5.51
29 Ru -0.45 0.78 -0.54
30 I -1.57 2.78 -1.88
31 C 0.77 -2.54 -1.27
32 Si 0.90 -1.95 0.49
33 C -0.16 -3.00 1.58
34 C 2.69 -1.94 0.99
35 N 0.34 -0.28 0.81
36 C 0.48 0.23 2.13
37 C -0.48 -0.11 3.10
38 C -0.18 0.08 4.45
39 C 1.05 0.61 4.83
40 C 1.99 0.97 3.87
41 C 1.71 0.81 2.51
42 H 1.15 -3.57 -1.24
43 H 1.39 -1.96 -1.97
44 H -0.27 -2.57 -1.64
45 H 0.09 -4.05 1.34
46 H 0.03 -2.82 2.64
47 H -1.23 -2.84 1.37
48 H 3.25 -1.16 0.45
49 H 2.82 -1.80 2.07
50 H 3.10 -2.92 0.70
51 H -1.39 -0.60 2.75
52 H -0.93 -0.19 5.20
53 H 1.26 0.80 5.90
54 H 2.97 1.38 4.15
55 H 2.44 1.01 1.73
'''

And rather Europeans face much higher iodine deficiencies than East Asians and I will show the same with appropriate data later on. On top of that, East Asians do not face any mal-nourishment. In the above text, I showed a few samples on East Asia in mild fluorosis regions that the average IQ in such villages is also in low 80s, let alone 100+. If I show East Asian IQ samples where they are done on malnourished population, the results will be very very low (less than 75 IQ).

So, it is funny if he is optimizing East Asian data to 105 and Europe is kept constant at 97 because it is Europe that faces higher environment contamination due to iodine deficiencies, etc.

And remember, the IQ numbers of India, mid-East that is shown in his book is not optimized unlike East Asia.

The main purpose of him writing his book is to get famous in the public by propagating a racial fallacy that is far from the truth. The scientific community does not acknowledge his books which does seem to be a fiction.

I will further prove that average IQ in Iran in optimum living conditions is also 105, same as people in China (in my coming posts). And will present relevant data.


  1. I always doubted that Lynn's work is manipulated or cherry picked. Thanks for sharing the info. It is one of the best posts on "race and iq" that I have come across.

  2. Lynn is a liar and a cheat just to make white people seem superior in every aspect

  3. Your links show children exposed to flouride

    Why don't you have studies of older rural populations.

  4. IQ Testing - Get Your IQ Result Right Now - Find out what your IQ is with our professional IQ test and get your own certificate. Unique and challenging testing method trusted by people all around the globe. Start now!

  5. Time to write another one based on 2018 PISA.

  6. People should not take these IQ scores too seriously because a large selective personality variable is involved. A lot of smart people fail tests on purpose or for fun. East Asians are not smarter, they are simply more shame conscious and hence try harder on paper.
